Pine Bonsai in the Midwest USA Douglas K. Hawley MD

Pine Bonsai in the Midwest USA
by Douglas K. Hawley MD, Cincinnati, Ohio

It is with good reason that the Japanese have sometimes referred to pine as the king of bonsai. They respond very well to training techniques, and adapt well to bonsai culture (so well, in fact, that they may live longer as bonsai than they do in the wild!). Their appearance is majestic. And the ancient pines in nature have served as models for the development of the classic rules and stylistic tendencies in bonsai in general.

Specifically, pines have served as the style models for bonsai, with downsloping lower branches alternating from outside curves with well-defined foliage planes eventually culminating in a broad rounded apex. Uh-oh, I can already see some of you bonsai naturalists with fumes coming out of your ears, thinking man, that's the worst thing that ever happened to tropicals and deciduous; I'd rather get a root canal than see another pine-styled maple! My only response is that if you prefer lollipop or shrub-in-a-pot style, there are plenty of models for this in most of our midwestern back yards. But when I really want to see a tree that looks like an ancient humanesque caricature-like piece of art, give me a pine!

Pines are evergreen needle conifers of the genus Pinus. There are over 100 species of pinus, essentially all from the Northern Hemisphere. Although some will grow in subtropical or warm climates, none are truly tropical; thus, as bonsai, they are all outdoor plants. Although all will survive in bonsai culture, some are much more suitable than others due to needle length, response to pruning/pinching, internode length and growth rate. Almost all pines can survive throughout most of the Midwest area, but some may require pampering.

My discussion will include both the classic Japanese pines as well as the pines of the western world most suitable for bonsai; but all will be pines that we can easily keep alive as bonsai in the Midwest.


First, a few basics are in order, with no intent to insult all of you experts. All pines grow in the same pattern. New buds turn into candles, which then open up into shoots covered with needles. These shoots are arranged in whorls, i.e. one to a dozen or more shoots arising all from the same point. The tip of each shoot the puts out more buds which develop into candles for the next year's whorls of growth. Some pines will backbud if pruned into the last one or two year's branches, but not always reliably. They will never break back if cut back into old wood beyond where needles are present, but rather that branch will simply die.

The needles themselves grow in groups called fascicles. Most pines have fascicles of two needles, three needles or five needles. Those which have five-needle fascicles are often referred to as five needle pines, white pines, or soft pines. Those with two or three needles per fascicle are sometimes generally referred to as hard pines or black pines.

Most pines display considerable apical dominance, i.e. the tendency for the portion of the tree at the top or the end to have the most vigorous growth. This is important to realize in bonsai culture, as much of what we try to attempt to do is to equalize the strength in all parts of the tree. Thus, we constantly have to be more brutal to the upper and outer portions of our trees.


Pinus thunbergiana - Japanese Black Pine - Kuro matsu. A two needle pine. Hardy zones 5-7(8). Needles naturally around 5" but reduce dramatically in bonsai culture. Excellent response (perhaps the best and most predictable of any pine) to classic Japanese pruning and needle reduction techniques. Fissured bark. Back buds modestly well. Needs moderate winter protection - medium sized bonsai will survive 0-10 degrees F if temperatures are steady and there is complete protection from wind and sun. Will do well in warmer areas too.

Pinus thunbergiana var corticosa - Cork bark Black pine - Nishiki matsu. (2 needle) Cork bark varieties, actually a large number of different variants. The ones with thick white candles are much more vigorous than ones with reddish teardrop shaped candles. In Japan these varieties are classified according to the pattern of the cork bark, with those developing angled wings being more desirable. Some varieties, notably Kyokko and Fuji can be rooted with cuttings, unlike any other pines. These pines are somewhat more difficult, being fragile, less hardy, and more susceptible to fungal diseases than regular black pine, however can be grown very successfully in the Midwest. They require very significant winter protection e.g. coldframe or unheated garage kept in low to mid thirties or higher.

Pinus parviflora (pentaphylla) - Japanese white pine, Japanese five-needle pine - Goya matsu. (5 needle) - small attractive needles, probably the smallest and most attractive needles of any five-needle pine. Dense but somewhat slow growth. More vigorous when grafted onto black pine roots, and most specimens available in this country are grafts imported from Japan. A few cork or rough bark varieties exist but are rare. All varieties require some winter protection but prefer colder climates overall.

Pinus syvestris - Scotts pine. (2 needle) - popular in USA and especially in the midwest. Trunk is attractive and thickens rapidly. Needles are much smaller than black pine. However it does not reliably respond to candle pruning with new growth, and new shoots grow horizontally instead of upright, giving it a somewhat unkempt appearance. Tolerates cold in general, more so than Japanese black pine, but there are varieties developed to grow best in each of zones 3-6.

Pinus rigida - Pitch Pine - Amerika sanyosho. (3 needle) - An underused pine. Native to our area. Hardy zones 4-7, three needle pine. Buds back extensively, even on old wood. Needles not quite as dense as Japanese black pine, but responds exceptionally well to needle reduction techniques and can be induced to put out several or more generations of new growth in a season.

Pinus virginiana - Scrub pine. (2 needle) Native to our area. Two needle pine with characteristics otherwise very similar to pitch pine. Trunk thickens more slowly. Responds extraordinarily well to pinching and needle reduction techniques. Slightly warmer natural habitat that Pitch pine so requires moderate winter protection.

Pinus ponderosa - Ponderosa pine. (3 needle) Many fabulous ancient twisted trunk collected specimens have made this a popular pine in USA. Grows fairly well in this area but very prone to borers, which may cause death of tree without warning. Buds back with actual cutting needles in half, but doesnít respond well to candle removal, and candles are almost two short to pinch. Thus, it is difficult to control the balance of vigor and weak branches tend to become weaker. Large trees require little or no winter protection.

Pinus mugo - Mugho pine. (2 needle) hardy to zone 2 which grows very well here. Has natural bush like growth, so it has very little apical dominance. Older trees tend to have long arms and younger trees don't thicken up quickly, so really good mugo bonsai are rare. Responds poorly to candle removal. Needs almost no winter protection.

Pinus densiflora - Japanese red pine - Aka matsu. (2 needle) Similar to Japanese black pine but with weaker growth, looser arrangement of needles, and less ability to tolerate vigorous pruning techniques. Appearance considered more feminine or delicate. Requires winter protection.

Pinus banksiana - Jack pine. (2 needle) Native to the northernmost parts of our area, but will grow well as bonsai in zones 2-6. Very short needles, somewhat more widely spaced than Scotts pine but similar. Response to Japanese black pine techniques is not reliable. Needs only wind/sun protection in winter.

Pinus strobus - Eastern white pine. (5 needle) Native to our area, and extensively planted as lanscape in Midwest. Hardy zone 2-7, and the most shade tolerant pine. Unfortunately, this is one of the least satisfying pines for bonsai. Needles do not reduce, it does not like to be pruned at all, and it retains a juvenile appearance to the bark until it is literally ancient. It is sensitive to overwatering but not tolerant of underpotting. Key branches may die without reason, spoiling the design. Good luck.

Many other pines can be grown as bonsai in this area including loblolly pine, sand pine, lacebark pine, Austrian limber pine, Mexican white pine, Swiss stone pine, etc etc. All these have some different features. Paradoxically, bristlecone pine, twisted and century-old in nature, does poorly as bonsai.

Between two parts of the article: materials data:
=====
Record 1
This record from the Alexandria database describes an optimized crystal structure of CdBW. The functional is PBE-GGA.

Structure (POSCAR):
```
CdBW
1.0
3.103 0.000 0.000
0.000 18.146 0.000
0.000 0.000 3.046
Cd B W
4 4 4
direct
0.000 0.185 0.250 Cd
0.000 0.815 0.750 Cd
0.500 0.315 0.750 Cd
0.500 0.685 0.250 Cd
0.000 0.028 0.250 B
0.000 0.972 0.750 B
0.500 0.472 0.750 B
0.500 0.528 0.250 B
0.000 0.432 0.250 W
0.000 0.568 0.750 W
0.500 0.068 0.750 W
0.500 0.932 0.250 W
```

## Properties
total magnetization = 0.000 μB per formula unit
energy relative to the lowest polymorph listed for this composition = 0.000 eV per atom
energy of formation from the pure elements = 0.0 eV/f.u.
crystal system = orthorhombic
space group = No. 63

Record 2
This record from the Alexandria database describes an optimized crystal structure of Ti6CuNi8. The functional is PBE-GGA.

Structure (POSCAR):
```
Ti6CuNi8
1.0
3.612 2.085 4.498
-3.612 2.085 4.498
0.000 -4.170 4.498
Ti Cu Ni
6 1 8
direct
0.162 0.411 0.639 Ti
0.361 0.838 0.589 Ti
0.411 0.639 0.162 Ti
0.589 0.361 0.838 Ti
0.639 0.162 0.411 Ti
0.838 0.589 0.361 Ti
0.000 0.000 0.000 Cu
0.062 0.853 0.390 Ni
0.147 0.610 0.938 Ni
0.249 0.249 0.249 Ni
0.390 0.062 0.853 Ni
0.610 0.938 0.147 Ni
0.751 0.751 0.751 Ni
0.853 0.390 0.062 Ni
0.938 0.147 0.610 Ni
```

## Properties
total magnetization = 0.000 μB per formula unit
energy of formation from the pure elements = -2.9 eV/f.u.
crystal system = trigonal
space group = No. 148

Record 3
This record from the Alexandria database describes an optimized crystal structure of Na3AgAu8. The functional is PBE-GGA.

Structure (POSCAR):
```
Na3AgAu8
1.0
2.783 1.607 9.166
-2.783 1.607 9.166
0.000 -3.214 9.166
Na Ag Au
3 1 8
direct
0.000 0.000 0.000 Na
0.127 0.127 0.127 Na
0.505 0.505 0.505 Na
0.629 0.629 0.629 Ag
0.063 0.565 0.565 Au
0.065 0.065 0.566 Au
0.065 0.566 0.065 Au
0.315 0.315 0.315 Au
0.565 0.063 0.565 Au
0.565 0.565 0.063 Au
0.566 0.065 0.065 Au
0.815 0.815 0.815 Au
```

## Properties
total magnetization = 0.000 μB per formula unit
energy of formation from the pure elements = -3.3 eV/f.u.
crystal system = trigonal
space group = No. 160

=====

A relaxed structure of Pr2SmCu2Sn2. Source: Alexandria, functional PBE-GGA.

Results
Total moment: 0.000 μB per atom
Space group: R-3m, No. 166
Calculated total energy: -4.765 eV per atom

The structure in POSCAR format:
```
Pr2SmCu2Sn2
1.0
2.303 1.330 9.791
-2.303 1.330 9.791
0.000 -2.659 9.791
Pr Sm Cu Sn
2 1 2 2
Cartesian
0.000 0.000 3.721 Pr
0.000 0.000 25.651 Pr
0.000 0.000 0.000 Sm
0.000 0.000 11.662 Cu
0.000 0.000 17.710 Cu
0.000 0.000 7.863 Sn
0.000 0.000 21.510 Sn
```


A relaxed structure of PrSmCuSn. Source: Alexandria, functional PBE-GGA.

Results
Total moment: 0.000 μB per atom
Space group: F-43m, No. 216
Calculated total energy: -4.815 eV per atom

The structure in POSCAR format:
```
PrSmCuSn
1.0
7.512 0.000 0.000
0.000 7.512 0.000
0.000 0.000 7.512
Pr Sm Cu Sn
4 4 4 4
Cartesian
0.000 0.000 0.000 Pr
=====


There is a major difference in the response to pruning and pinching between the five needle pines and the others. They bud back less easily, tolerate candle removal poorly, and do not reduce their needle size as readily. Thus, among five needle pines, types which already have dense growth patterns short internodal spaces and short needle length, such as Pinus parviflora (Japanese five needle pine) are much preferred over those with the opposite characteristics, such as Pinus strobus (Eastern White Pine).

What comes next are calculated crystals, not part of the piece >
<<<
# 1
Entry from the Alexandria database: an optimized crystal structure of Mn2InTc2 (PBE-GGA).

CIF file:
```
data_Mn2InTc2
_symmetry_space_group_name_H-M 'P 4/m b m'
_symmetry_Int_Tables_number 127
_symmetry_space_group_name_Hall '-P 4 2ab'
_cell_length_a 7.219
_cell_length_b 7.219
_cell_length_c 2.783
_cell_angle_alpha 90.00
_cell_angle_beta 90.00
_cell_angle_gamma 90.00
loop_
_atom_site_label
_atom_site_type_symbol
_atom_site_fract_x
_atom_site_fract_y
_atom_site_fract_z
Mn1 Mn 0.124 0.376 0.000
In1 In 0.000 0.000 0.000
Tc1 Tc 0.160 0.660 0.500
```

## Properties
energy	-8.127	eV/atom
distance to the lowest polymorph of the same formula	0.0000	eV per atom
formation energy from the elements	0.234	eV per atom


# 2
Entry from the Alexandria database: an optimized crystal structure of MnInTc2 (PBE-GGA).

CIF file:
```
data_MnInTc2
_symmetry_space_group_name_H-M 'C m m m'
_symmetry_Int_Tables_number 65
_symmetry_space_group_name_Hall '-C 2 2'
_cell_length_a 5.380
_cell_length_b 8.027
_cell_length_c 2.930
_cell_angle_alpha 90.00
_cell_angle_beta 90.00
_cell_angle_gamma 90.00
loop_
_atom_site_label
_atom_site_type_symbol
_atom_site_fract_x
_atom_site_fract_y
_atom_site_fract_z
Mn1 Mn 0.000 0.000 0.000
In1 In 0.000 0.500 0.000
Tc1 Tc 0.250 0.250 0.500
```

## Properties
energy	-7.774	eV/atom
formation energy from the elements	0.386	eV per atom

* * * * *

Density functional theory data (PBE) for crystalline AcSm5Ho3 at its relaxed geometry.

a b c (Å): 15.325 10.039 9.111
angles (deg): 90.00 119.54 90.00
Space group C2/c (No. 15)
One atom of each set of equivalent atoms:
Ac1 0.000 0.095 0.250
Sm1 0.000 0.437 0.250
Sm2 0.166 0.104 0.074
Sm3 0.176 0.428 0.100
Ho1 0.084 0.255 0.665
Ho2 0.250 0.250 0.500



Density functional theory data (PBE) for crystalline AcSmHo2 at its relaxed geometry.

Output
Distance to the lowest polymorph of the same formula in kcal/mol of atoms: 3.29

a b c (Å): 3.5849 3.5849 38.2053
angles (deg): 90.00 90.00 120.00
Space group R-3m (No. 166, hexagonal axes)
One atom of each set of equivalent atoms:
Ac1 0.0000 0.0000 0.0000
Sm1 0.0000 0.0000 0.5000
Ho1 0.0000 0.0000 0.0922



Number 1: total DFT energy (no corrections) -162.8 eV/cell, energy of formation 8.0 kJ/mol of atoms, magnetization 0.00 μB/cell. Number 2: total DFT energy (no corrections) -51.6 eV/cell, energy of formation 18.7 kJ/mol of atoms, magnetization 0.00 μB/cell.

* * * * *

w.
Density functional theory data (PBE) for a relaxed BaLi3Ag2 crystal.

Cell and atoms, written as extended XYZ:
```
12
Lattice="4.4965 0.0000 0.0000 -2.2483 8.4110 0.0895 0.0000 -3.7137 7.7567" Properties=species:S:1:pos:R:3 pbc="T T T"
Ag 0.0000 4.9918 6.4374
Ag 2.2483 4.0695 2.5708
Ag 0.0000 0.6278 5.2754
Ag 2.2483 -0.2945 1.4088
Ba 0.0000 2.2620 0.4933
Ba 2.2483 2.4353 7.3528
Li 0.0000 5.6868 2.7663
Li 2.2483 1.4337 3.6154
Li 0.0000 3.2635 4.2307
Li 0.0000 -0.6809 2.9520
Li 2.2483 5.3781 4.8942
Li 2.2483 -0.9895 5.0799
```

calculated density	4211	kg/m³

=====

x.
>>>
So much for the calculated crystals >

The primary method of pinching five needle pine is to reduce the candles to 1/2 to 1/3 of their initial length in mid spring, just before the needles begin to open. This should be done over a two or three week period, starting with the strong (upper) candles, and ending with the weak (lowest and inside) candles. Note that this sequence is the opposite as with two/three needle pines, described below.

Among the two and three needle pines, there is a fairly wide variation in the response to needle reduction and pruning techniques. With some, such as Pinus thunbergiana (Japanese Black Pine) Pinus rigida (Pitch pine), and Pinus virginiana (Scrub pine), marked needle reduction and multiple generations of stimulated new growth can occur in a single season in response to pruning and pinching. In contrast, others, such as Pinus ponderosa, Pinus nigra (Austrian Black pine) and pinus leucodermis (Bosnian pine) simply stop their growth until next season in response to pinching.

With all two and three needle pines, candle work is usually done over a two to three week period. Unlike five needle pines, start with the lowest/weakest branches, and end with the upper/strongest. This gives the weaker candles a head start. The exception is Muhgo, which has no apical dominance and therefore can be done all at once.

First, candles may be pinched by 1/2 to 1/3, just before the needles open. Typically this will be in April or May. If you also plan to de-candle, don't pinch back the weakest at all.

De-candling is exactly what it sounds like: Remove the entire new candle; all of them! Right down to the point of the previous years growth. Do not leave even a stub from this year's candle. This should be done when the needles have completely opened, from mid June to early July, and should be done sequentially, weakest to strongest as noted above. This may be done with the following pines: Japanese black (corkbark only every other year); Japanese red; pitch; Virginia (scrub); sand; and vigorous lacebarks and loblollies. You can try it on all the other two and three needle pines safely, but in most cases they just put out buds which donít open into candles until the following year.

The result of successful de-candling is that the pine then puts out a larger number of brand new candle at the cut tips. All of which will have more compact growth and shorter needles. These should be reduced in number to two per tip once they are large enough to accomplish this. Occasionally, these new candles will be long enough that the strongest need to be cut back. Pines should be fertilized heavily the autumn and spring before decandling.

Note that the length of the needles can actually be controlled to some extent by the timing of de-candling. Early de-candling (e.g. mid-June) yields stronger, longer needles; later (e.g. early July) yields shorter needles. Watch out with doing it too late, though. I've had Japanese black pines with no needle longer than inch. They look great through the fall and winter, but put out dangerously weak growth the following season, precluding de-candling for two years.

None of these methods necessarily apply to Ponderosa, nor does anyone really know what to do with them!

Incidentally, I've read articles suggesting that needle length should be controlled by withholding water and fertilizer. This is a poor method, especially if you are still trying to develop your pine.


Most of the major styling manipulations are best done in the winter. Major branch removal should always be done during dormancy. Also create jinn and Shari. Wiring should be carried out any time between mid-September and March. Wiring in the later spring causes slippage of cambium (not good!), and Spring/Summer branch removal can cause sap leakage for months!

Precede wiring with needle pruning, i.e. removing last year's and some of this year's needles. This opens up the interior to light and circulation, as well as markedly improving the appearance and ease of detail wiring. By leaving a somewhat greater number of needles on low/weak branches, you can also contribute to your goal of equalizing the strength of the branches.

Detail wiring brings out the finest appearance in pines. Use copper wire if you are comfortable with it. Carry the wiring out to each shoot.

Some masters suggest pointing the tips straight outward, others suggest turning them all upward. Who's right? Actually, either can be done, depending on your goals. Turning them upward improves the immediate appearance and actually improves the strength of these tips (auxin production is increased by geotropism). On the other hand, wiring them straight out promotes more back budding, improves the vigor of small weak inner growth (both by decreasing the auxin production in the stronger end tips), and places the branches in proper position for next spring's new candles to arise in the proper foliage plane. You can actually mix the two, wiring tips from weak branches pointing upward, and strong branches straight outward.


Pines like well-drained soil, and prefer being too dry than too wet. Feed them in the spring and fall, unless you have a finished tree (is there really any such thing?), in which case you should hold back on Spring feeding a bit as long as you are not planning a major candle removing. Excessive Spring feeding and watering will lengthen needles but this is irrelevant if you plan to de-candle. Pines should always be kept in full sun. They prefer a slightly acid soil, so adding Iron or feeding with an acid fertilizer will be beneficial.

Repotting should be done every other year in very young pines, and about every five years in mature specimens. Be sure all field soil is removed. This can be done immediately with young black pines, but spread over at least two repottings with others. Miccorhiza should be added or saved and spread back into the lower soil layers.

Pines are relatively pest free. The main pest culprits are pine needle scale (treat with winter oil and with a general insecticide in late spring and August) and sawfly (spot treat with any insecticide or soap in late Apr/May). New growth turning yellow usually indicates diplodia, a fungal disease. Last years needles turning yellow in bands or in entirety usually indicates needlecast, another fungal disease. Daconil is effective for both if applied early. Borers can be fatal to mostly collected trees; if you see holes in the trunk apply lindane into the holes and pray.

Pines are extremely rewarding bonsai, literally magic! By the way, I have to admit enjoying undulating but rising branches in deciduous, and canopies on tropicals!
